John Cooke, Co-Catalyst, August 2007
“Can you tell us a little about your background and about the Innovation Leadership Forum”
The Innovation Leadership Forum is the umbrella under which I conduct all my activities: anything to do with understanding and enabling innovation, primarily in large organizations. This includes teaching, writing, working with companies, and running a networking initiative. While I have been thinking and working around innovation for the past 16 years, the current networking group has been running since 2004 – though it built on a networking initiative, the Innovation Exchange, I ran for 5 years on behalf of London Business School. We started with 4 companies in 2004 and are now up to 17 subscribed members, some more are currently considering to join us. I would talk a lot more about this wonderful group – but I think the real interest here is around Open innovation. Those who’d like to find out more can always email me or have a look at the website.
“What would you say are the main benefits of engaging in Open Innovation?”
I always say that innovation happens when you connect previously unconnected bodies of knowledge. For me, that is what open innovation is about. It is also about allowing people with diferent perspectives and diferent backgrounds to take a look at our issues, problems, opportunities with a diferent set of glasses, a set of glasses that we would never put on. The way the human brain works means that we organize things in boxes, and not only that, we tend to stick new things into existing boxes, often ignoring the fact that they don’t really fit… This is one of the barriers innovation comes up against. By opening up to the outside world, and inviting others to look at issues through diferent glasses we might come up with entirely diferent solutions.
That was a rather long answer to your question; the short one would be: the main benefit of open innovation is that it allows us to access a large group of people with diverse backgrounds and ways of thinking, which is key to innovation.
There are other benefits, for example, working with external partners on an idea makes it more difcult for it to be killed; it would plainly be too public and embarrassing; especially with radical innovation this can be a considerable benefit.
Another is that all organizations have to manage their resources carefully. Tapping into outsiders can provide a useful additional resource.
However, I believe that at some point in the future this may raise interesting questions about what organizations actually stand for – that becomes a rather philosophical discussion…
“In what ways is Open Innovation diferent from earlier models of collaboration?”
I think that most other forms of collaboration are about problem solving – rather than uncovering opportunities. In more traditional forms it seems to be the case that we identify a problem and then start to look for the right partner who can help us solve it. Open innovation is diferent; we are looking for external parties to help us uncover new areas of opportunity that we can, perhaps jointly, pursue.
Implicit in the above is that we have to have a diferent mindset if we want to engage in open innovation. Here all the arguments about believing that we have all the talent inside our own organization, that we know best what our customer wants etc. come into play.
“What steps would you advise an organization interested in engaging in Open Innovation to take?”
Talk to some organizations who are doing it. but be careful, what is right for one organization is not necessarily the right approach for another. You need to understand your organization’s culture; you need to know which aspects would support open innovation and which aspects would get in the way. You need to work with both.
You should also think about what the areas are where you are willing to share, where you are truly willing to open up. True collaboration only works if there are benefits for both parties, and both parties share openly and honestly. If it is onesided – as much of traditional subcontracting and outsourcing is – it will not work.
This also means that you need to think about what you can do to help develop trust and respect between the collaborating parties. Given that they might come from quite diferent perspectives, with diferent values and mindsets, you are in trouble otherwise (the prejudices we have against those who are diferent from us can be quite a powerful obstacle).
“What are the critical components you need for successful Open Innovation?”
In a way I have already mentioned it above:
- A willingness to share
- Trust and respect between a win-win situation
- Structures and processes that enable and support open innovation, and provide a solid link back into the organization
-- Someone pasted calculated molecules at this point --
w:
{
  "formula": "C6H7ClS",
  "method": "ωB97M-V/def2-TZVPD",
  "lumo_energy_ev": -0.44,
  "charge": 0,
  "gap_ev": 8.530,
  "homo_energy_ev": -8.97,
  "smiles": "CC#C[C@H](C=S)CCl",
  "symbols": ["C", "C", "C", "C", "C", "S", "C", "Cl", "H", "H", "H", "H", "H", "H", "H"],
  "positions_angstrom": [[-2.7800, -2.4417, 0.1027], [-1.6238, -1.5966, -0.1145], [-0.6956, -0.8554, -0.2224], [0.4198, 0.1089, -0.3081], [1.6389, -0.3984, 0.4778], [3.0957, -0.5700, -0.1461], [0.0815, 1.5119, 0.3770], [-1.5101, 2.1176, -0.1065], [-2.5926, -3.2673, 0.8231], [-3.1691, -2.9312, -0.7592], [-3.5456, -1.8433, 0.4557], [0.7729, 0.2309, -1.3389], [1.4441, -0.6367, 1.5345], [0.8997, 2.1870, 0.1108], [0.0872, 1.4091, 1.4471]]
}

---

x:
{
  "formula": "C6H7ClS",
  "method": "ωB97M-V/def2-TZVPD",
  "lumo_energy_ev": 0.67,
  "charge": 0,
  "gap_ev": 9.242,
  "homo_energy_ev": -8.57,
  "smiles": "ClCC1=C[C@H]2C[C@@H]2S1",
  "symbols": ["Cl", "C", "C", "C", "C", "C", "C", "S", "H", "H", "H", "H", "H", "H", "H"],
  "positions_angstrom": [[3.0947, -0.4642, 0.0028], [1.7362, 0.6080, 0.2383], [0.3452, 0.0990, -0.1207], [-0.2242, -1.1692, -0.0905], [-1.6947, -1.0647, -0.4404], [-3.1208, -0.9329, 0.2274], [-2.0947, 0.1934, 0.3893], [-0.9428, 1.5098, -0.1847], [1.7895, 1.5945, -0.3368], [1.6989, 0.8011, 1.3872], [0.3724, -2.0330, 0.0233], [-1.7396, -0.8828, -1.5040], [-3.8595, -1.0191, -0.5632], [-3.5589, -1.2998, 1.2443], [-1.9089, 0.1726, 1.4353]]
}

---

y:
{
  "formula": "C6H7ClS",
  "method": "ωB97M-V/def2-TZVPD",
  "lumo_energy_ev": 0.42,
  "charge": 0,
  "gap_ev": 9.028,
  "homo_energy_ev": -8.61,
  "smiles": "ClCC1=C[C@H]2C[C@@H]2S1",
  "symbols": ["Cl", "C", "C", "C", "C", "C", "C", "S", "H", "H", "H", "H", "H", "H", "H"],
  "positions_angstrom": [[-3.5185, -0.2560, -0.1634], [-2.2325, 1.1468, 0.1233], [-0.9028, 0.5295, -0.0002], [-0.4431, -0.7863, 0.0723], [1.0382, -0.7319, 0.4047], [2.3589, -0.8593, -0.1994], [1.5147, 0.3872, -0.3717], [0.5679, 1.7824, -0.0578], [-2.3971, 1.2882, 1.3641], [-2.4041, 2.1008, -0.5092], [-1.2794, -1.5589, -0.2858], [1.1614, -0.5882, 1.5433], [3.2515, -1.0775, 0.6057], [2.2449, -1.4972, -1.1430], [1.0401, 0.1205, -1.3830]]
}

---

On energetic grounds, w is preferred over the next structure by 188.7 kJ/mol.

---

w:
{
  "formula": "CH4I2N2",
  "method": "ωB97M-V/def2-TZVPD",
  "lumo_energy_ev": -1.29,
  "charge": 0,
  "gap_ev": 7.982,
  "homo_energy_ev": -9.27,
  "symbols": ["C", "N", "N", "I", "I", "H", "H", "H", "H"],
  "positions_angstrom": [[-1.1970, 0.0872, 0.2274], [0.0084, 0.6145, -0.4151], [1.1432, 0.0566, 0.4494], [1.7234, -2.0052, 0.0071], [2.7456, 1.3397, -0.0580], [-1.2796, 0.3137, 1.3775], [-2.1059, 0.3218, -0.4093], [-1.1875, -0.9868, 0.1128], [0.1495, 0.2586, -1.2917]]
}

---

x:
{
  "formula": "CH4I2N2",
  "method": "ωB97M-V/def2-TZVPD",
  "lumo_energy_ev": -0.88,
  "charge": 0,
  "gap_ev": 7.950,
  "homo_energy_ev": -8.83,
  "symbols": ["C", "N", "N", "I", "I", "H", "H", "H", "H"],
“Specifically in terms of Breakthrough Innovation, why can an Open Innovation approach help?”
This comes back to my first point. We all sufer from what is called so wonderfully ‘Betriebsblindheit’ in German. It basically means you cannot see the wood for the trees. We get so used to our way of thinking and doing things that, at least for most of us, it is quite difcult to still see the patterns and rules according to which we are behaving and judging. As we all know, for radical innovation we need to think ‘outside the box’. Given the way our brain works this can be rather tricky, and it can be much easier for an outsider to see an entirely diferent approach or solution.